One conversation that comes up over and over in my chats with shippers is about their carrier contracts. And most shippers are surprised to learn that their deal with their carrier is not a contract at all — it’s an agreement.
What’s the difference? An agreement is less formal and binding — both of you can make changes at any time. A contract has locked-in terms, start and end dates, and other commitments. An agreement is a formal understanding that you’ll work together, barring certain issues and events.
**Here the article breaks off for materials data**
=====
This entry pairs a crystal structure of NaTmV2O6 with its calculated X-ray diffraction stick pattern. Radiation: Cu Kα. Structure: a crystal structure in Alexandria, relaxed with GGA+U.

```
20
Lattice="5.2601 -4.8395 0.0000 5.2601 4.8395 0.0000 -1.9469 0.0000 5.7132" Properties=species:S:1:pos:R:3 pbc="T T T"
Na 3.8000 2.8485 4.2849
Na 4.7734 -2.8485 1.4283
Tm 4.7734 0.8774 1.4283
Tm 3.8000 -0.8774 4.2849
V 0.6623 0.8878 4.2913
V 1.6357 -0.8878 1.4347
V 6.9376 0.8878 4.2785
V 7.9111 -0.8878 1.4219
O 3.2088 2.3454 1.8636
O -0.3731 0.0479 5.5424
O 0.6003 -0.0479 2.6858
O 2.3886 0.7978 4.9411
O 6.3380 2.3454 0.9930
O 3.3620 -0.7978 2.0845
O 5.2113 0.7978 3.6288
O 2.2354 -2.3454 4.7203
O 6.1848 -0.7978 0.7721
O 7.9731 0.0479 3.0274
O 8.9465 -0.0479 0.1708
O 5.3645 -2.3454 3.8496
```

Largest 8 diffraction maxima, in order of rising 2θ, 10 to 90 degrees two-theta:
2θ 12.8, rel. 100
2θ 17.8, rel. 52
2θ 18.3, rel. 23
2θ 26.9, rel. 96
2θ 28.4, rel. 60
2θ 31.3, rel. 41
2θ 31.7, rel. 40
2θ 33.1, rel. 43

=====

# 1
Theoretical powder X-ray diffraction pattern
Compound: Cs5PdAu
Radiation: CuKα
Structure: a crystal structure in Alexandria, relaxed with PBE
No peak broadening, texture or thermal motion is included.

Structural model:
Cell: 10.318 5.243 16.710 Å, 90.00 91.01 90.00°
Space group P2_1/m (No. 11)
Symmetry-distinct sites (fractional):
Cs 0.085 0.250 0.317
Cs 0.137 0.750 0.927
Cs 0.330 0.750 0.479
Cs 0.351 0.250 0.138
Cs 0.376 0.250 0.709
Pd 0.429 0.250 0.353
Au 0.086 0.750 0.149

Main lines, sorted by position (2θ from 5° to 70°):
(1 0 -1), 2θ = 10.00°, I = 100
(1 1 2), 2θ = 21.86°, I = 69
(2 1 0), 2θ = 24.20°, I = 36
(1 1 -3), 2θ = 24.75°, I = 57
(2 1 -2), 2θ = 26.36°, I = 32
(0 2 0), 2θ = 34.20°, I = 39

=====

# 2
Theoretical powder X-ray diffraction pattern
Compound: Cs6PdAu
Radiation: CuKα
Structure: a crystal structure in Alexandria, relaxed with PBE
No peak broadening, texture or thermal motion is included.

Structural model:
Cell: 8.9700 8.9700 16.8853 Å, 90.00 90.00 120.00°
Space group P-31c (No. 163)
Symmetry-distinct sites (fractional):
Cs 0.0239 0.3456 0.1277
Pd 0.3333 0.6667 0.2500
Au 0.0000 0.0000 0.0000

Main lines, sorted by position (2θ from 5° to 70°):
(1 0 2), 2θ = 15.50°, I = 32
(2 -1 2), 2θ = 22.45°, I = 100
(1 1 4), 2θ = 29.05°, I = 55
(3 0 0), 2θ = 34.64°, I = 40
(1 1 6), 2θ = 37.74°, I = 25
(3 0 8), 2θ = 56.23°, I = 19

=====

# 3
Theoretical powder X-ray diffraction pattern
Compound: CsPdAu
Radiation: CuKα
Structure: a crystal structure in Alexandria, relaxed with PBE
No peak broadening, texture or thermal motion is included.

Structural model:
Cell: 4.638 6.754 7.009 Å, 115.01 109.13 90.28°
Space group P-1 (No. 2)
Symmetry-distinct sites (fractional):
Cs 0.112 0.299 0.230
Pd 0.208 0.903 0.417
Au 0.404 0.300 0.807

Main lines, sorted by position (2θ from 5° to 70°):
(0 1 -1), 2θ = 15.57°, I = 100
(1 -1 1), 2θ = 28.23°, I = 53
(1 1 -2), 2θ = 28.35°, I = 52
(0 2 -2), 2θ = 31.43°, I = 81
(1 1 1), 2θ = 37.74°, I = 98
=====
What Is a Carrier Agreement?
A carrier agreement is a documented promise between a shipper and a carrier that the shipper will use the carrier’s services in exchange for a discount on those services. A shipper of any size will typically have an agreement with at least one carrier to reduce their shipping costs.
What Is in a Carrier Agreement?
A typical carrier agreement will contain the rates for carrier services, including any discounts and minimum charges that the shipper can expect. It will also contain language from the carrier restricting certain practices and activities. They are usually highly complex with many caveats and conditions that will affect every package you send differently, so it’s crucial to make sure you understand all the details.
How Often Should You Optimize a Carrier Agreement?
While a full optimization is only needed once a year, you should be tweaking your carrier agreement in response to carrier pricing changes four to six times a year. By doing this, you’ll keep the value of your discounts as close as possible to what you optimized.
2020 has brought historic (and rapidly occurring) changes for shippers to contend with, including suspended service guarantees and a double whammy of peak surcharges for both pandemic-related shipping and the 2020 holiday season. Not to mention an overrun shipping network.
How have these changes affected your shipping spend? Is your effective discount still what you thought it was? Do you know what your effective discount is?
The fact is that your carrier can change your pricing at any time because, again, you have an agreement, not a contract. But that means you can ask for changes at any time as well.

10 Ways to Future-Proof Your Business
How Should You Approach Your Carrier About Adjusting Your Carrier Agreement?
Don’t make a move without all the information you need to make a strong case. Ensure you have your latest data and trends in hand — not last quarter’s or even last month’s.
Then make sure you know how it impacts your spend and what needs to change to get your pricing closer to what you optimized. Contact your rep and work with them to adjust the agreement to reflect what’s happening in your business (and theirs) today.
Careful Observation of Your Data Keeps Your Spend Down
Smaller shippers are often too overwhelmed by the daily grind of running their business to keep up with their shipping data, while larger shippers might find that the sheer volume of their data makes it difficult to work with and interpret. But to maintain a strong discount and keep your shipping spend down, it’s imperative to understand your data — and be able to act on it — at all times.
### Materials data, kept here for reference
/*
Diffraction record for TiCuNiPd. The powder XRD pattern is calculated, not measured: it uses DFT lattice parameters and positions (PBE) and Cu Kα X-rays.
Peak positions follow from Bragg's law for the DFT cell and can differ from measured ones.

Structural model:
Cell: 4.5797 4.5797 4.5797 Å, 131.06 131.06 71.71°
Sites, in units of the cell vectors:
Ti 0.0000 0.0000 0.0000
Cu 0.5000 0.5000 0.0000
Ni 0.7500 0.2500 0.5000
Pd 0.2500 0.7500 0.5000

The 10 most intense peaks (10° ≤ 2θ ≤ 80°), by angle:
| 2θ/deg | d (Å) | Rel. int. |
| --- | --- | --- |
| 23.97 | 3.712 | 4 |
| 26.38 | 3.378 | 9 |
| 33.40 | 2.683 | 4 |
| 41.54 | 2.174 | 100 |
| 43.67 | 2.073 | 2 |
| 47.96 | 1.897 | 32 |
| 49.09 | 1.856 | 15 |
| 55.57 | 1.654 | 3 |
| 70.17 | 1.341 | 10 |
| 71.06 | 1.327 | 18 |

~~~~~

For Rb2Mo, a crystal structure in the Materials Project, relaxed with GGA-PBE gives the calculated X-ray powder pattern in this record (Cu Kα (weighted mean of Kα1 and Kα2)).

Atomic structure:
```
data_Rb2Mo
_cell_length_a 13.059
_cell_length_b 6.634
_cell_length_c 8.662
_cell_angle_alpha 90.00
_cell_angle_beta 116.66
_cell_angle_gamma 90.00
_space_group_name_H-M_alt 'C 1 2/m 1'
_space_group_IT_number 12
_space_group_name_Hall '-C 2y'
loop_
_atom_site_label
_atom_site_fract_x
_atom_site_fract_y
_atom_site_fract_z
Rb1 0.075 0.000 0.337
Rb2 0.186 0.500 0.097
Mo1 0.085 0.500 0.574
```

Main lines, by angle (2θ = 10–90°):
2theta  I/Imax
11.43  188
22.83  305
24.49  617
24.70  1000
26.56  128
26.88  487
27.63  131
35.56  207
46.18  178
66.48  134

~~~~~

Mo2P2O11: calculated powder X-ray diffraction pattern (a wavelength of 1.5418 Å), based on DFT lattice parameters and positions (PBE+U).

Crystal structure
Unit cell a=12.9100 b=6.4136 c=10.8684 alpha=90.00 beta=90.00 gamma=90.00
Fractional positions:
1 Mo 0.0067 0.2500 0.2281
2 Mo 0.2454 0.7500 0.5289
3 Mo 0.2546 0.2500 0.0289
4 Mo 0.4933 0.7500 0.7281
5 Mo 0.5067 0.2500 0.2719
6 Mo 0.7454 0.7500 0.9711
7 Mo 0.7546 0.2500 0.4711
8 Mo 0.9933 0.7500 0.7719
9 P 0.0323 0.7500 0.3154
10 P 0.1568 0.2500 0.5174
11 P 0.3432 0.7500 0.0174
12 P 0.4677 0.2500 0.8154
13 P 0.5323 0.7500 0.1846
14 P 0.6568 0.2500 0.9826
15 P 0.8432 0.7500 0.4826
16 P 0.9677 0.2500 0.6846
17 O 0.0398 0.5565 0.2330
18 O 0.0395 0.7500 0.9189
19 O 0.0398 0.9435 0.2330
20 O 0.0838 0.2500 0.6359
21 O 0.0945 0.2500 0.4019
22 O 0.1066 0.7500 0.4229
23 O 0.1073 0.7500 0.6825
24 O 0.1677 0.2500 0.1550
25 O 0.1735 0.2500 0.9058
26 O 0.2255 0.0573 0.5359
27 O 0.2255 0.4427 0.5359
28 O 0.2745 0.5573 0.0359
29 O 0.2745 0.9427 0.0359
30 O 0.3265 0.7500 0.4058
31 O 0.3323 0.7500 0.6550
32 O 0.3927 0.2500 0.1825
*/
Before you optimize, make sure you have all the information you need about surcharges. Find it in our eBook, 5 Budget-Busting Surcharges & How to Lower Them.